-- Request --
Retype the calculation results further below verbatim.

-- Listing --
Entry 1
{"formula": "CaFeSi2O6", "functional": "PBE+U", "state": "relaxed", "lattice": [[-4.8961, -1.6646, -1.3087], [-5.2985, 0.4731, 8.4384], [-2.3957, 8.6091, -1.9873]], "species": ["Si", "O", "Fe", "Ca", "O", "O", "O", "Si", "O", "O", "O", "O", "O", "Ca", "O", "O", "O", "O", "O", "Si", "O", "Ca", "Fe", "O", "Si", "O", "Si", "Fe", "O", "Ca", "O", "O", "Si", "Si", "O", "O", "Si", "Fe", "O", "O"], "fractional_positions": [[0.2369, 0.7121, 0.0923], [0.1752, 0.3648, 0.2453], [0.7501, 0.5000, 0.5919], [0.7499, 0.5000, 0.2016], [0.5014, 0.6507, 0.9834], [0.3248, 0.6353, 0.2452], [0.9986, 0.3493, 0.9834], [0.2369, 0.2121, 0.5923], [0.6752, 0.3648, 0.7547], [0.8461, 0.1192, 0.9087], [0.5014, 0.1507, 0.4834], [0.8461, 0.6192, 0.4087], [0.6539, 0.3808, 0.4086], [0.2500, 0.0000, 0.2984], [0.4986, 0.8493, 0.5166], [0.8248, 0.1353, 0.2547], [0.6752, 0.8648, 0.2547], [0.9986, 0.8493, 0.4834], [0.1539, 0.8808, 0.0913], [0.7369, 0.7121, 0.9077], [0.8248, 0.6353, 0.7548], [0.2499, 0.5000, 0.7984], [0.7500, 0.0000, 0.0918], [0.6539, 0.8808, 0.9087], [0.7631, 0.2879, 0.9078], [0.3460, 0.1192, 0.0913], [0.2631, 0.7879, 0.5923], [0.2500, 0.5000, 0.4082], [0.4986, 0.3493, 0.0166], [0.7500, 0.0000, 0.7016], [0.0014, 0.6507, 0.0166], [0.3460, 0.6192, 0.5913], [0.2631, 0.2879, 0.0922], [0.7369, 0.2121, 0.4077], [0.3248, 0.1353, 0.7453], [0.1539, 0.3808, 0.5914], [0.7631, 0.7879, 0.4077], [0.2500, 0.0000, 0.9082], [0.0014, 0.1507, 0.5166], [0.1752, 0.8648, 0.7453]], "volume_a3_per_fu": 117.42}



Entry 2

-- Here it is --
Entry 1
{"formula": "CaFeSi2O6", "functional": "PBE+U", "state": "relaxed", "lattice": [[-4.8961, -1.6646, -1.3087], [-5.2985, 0.4731, 8.4384], [-2.3957, 8.6091, -1.9873]], "species": ["Si", "O", "Fe", "Ca", "O", "O", "O", "Si", "O", "O", "O", "O", "O", "Ca", "O", "O", "O", "O", "O", "Si", "O", "Ca", "Fe", "O", "Si", "O", "Si", "Fe", "O", "Ca", "O", "O", "Si", "Si", "O", "O", "Si", "Fe", "O", "O"], "fractional_positions": [[0.2369, 0.7121, 0.0923], [0.1752, 0.3648, 0.2453], [0.7501, 0.5000, 0.5919], [0.7499, 0.5000, 0.2016], [0.5014, 0.6507, 0.9834], [0.3248, 0.6353, 0.2452], [0.9986, 0.3493, 0.9834], [0.2369, 0.2121, 0.5923], [0.6752, 0.3648, 0.7547], [0.8461, 0.1192, 0.9087], [0.5014, 0.1507, 0.4834], [0.8461, 0.6192, 0.4087], [0.6539, 0.3808, 0.4086], [0.2500, 0.0000, 0.2984], [0.4986, 0.8493, 0.5166], [0.8248, 0.1353, 0.2547], [0.6752, 0.8648, 0.2547], [0.9986, 0.8493, 0.4834], [0.1539, 0.8808, 0.0913], [0.7369, 0.7121, 0.9077], [0.8248, 0.6353, 0.7548], [0.2499, 0.5000, 0.7984], [0.7500, 0.0000, 0.0918], [0.6539, 0.8808, 0.9087], [0.7631, 0.2879, 0.9078], [0.3460, 0.1192, 0.0913], [0.2631, 0.7879, 0.5923], [0.2500, 0.5000, 0.4082], [0.4986, 0.3493, 0.0166], [0.7500, 0.0000, 0.7016], [0.0014, 0.6507, 0.0166], [0.3460, 0.6192, 0.5913], [0.2631, 0.2879, 0.0922], [0.7369, 0.2121, 0.4077], [0.3248, 0.1353, 0.7453], [0.1539, 0.3808, 0.5914], [0.7631, 0.7879, 0.4077], [0.2500, 0.0000, 0.9082], [0.0014, 0.1507, 0.5166], [0.1752, 0.8648, 0.7453]], "volume_a3_per_fu": 117.42}



Entry 2